The history of cannabis and its use throughout the world
Cannabis, also called marijuana, has a complicated history of production and use. For thousands of years, different cultures have found a variety of unique uses for this plant. The Greeks and Romans, for example, famously used cannabis for recreation and religion. However, cannabis is thought to have originated in Central Asia, now modern-day Mongolia and southern Siberia, where the ancient Chinese utilized it for medical purposes.
In medieval Europe and the Middle East, the plant’s fibers were used to manufacture textiles, paper, and rope. Cannabis was widely utilized in Western medicine by the late 1800s to treat a wide range of illnesses, including pain alleviation, hunger stimulation, and disorders including epilepsy and migraines. However, as its usage as a recreational drug grew in popularity throughout the 20th century, concerns about its abuse potential and the risks of its use grew.
After the Marihuana Tax Act was passed in 1937, cannabis became illegal in the United States at the beginning of the 20th century. Despite this, its usage rose, particularly among young people, giving rise to the “War on Drugs” and further initiatives to stifle its use and distribution. Despite these initiatives, cannabis use increased, prompting an upsurge in calls for its legalization.
(Unrelated to this article: records of crystals)
<<<
# 1
Entry from OQMD via LeMat-Bulk: a geometry-optimized LaZn structure (PBE).

- DFT total energy: -3.2855 eV/atom

abc: 5.9317 13.4793 5.1029
angles: 90.00 90.00 90.00
Sites, in units of the cell vectors:
Zn 0.4722 0.4943 0.5000
Zn 0.7990 0.1290 0.5000
La 0.0017 0.3750 0.5000
La 0.5356 0.3750 0.0000
Zn 0.8609 0.7557 0.0000
La 0.2925 0.0434 0.5000
La 0.3319 0.8750 0.0000
La 0.2925 0.7066 0.5000
Zn 0.7990 0.6210 0.5000
La 0.0408 0.5434 0.0000
Zn 0.8609 0.9943 0.0000
La 0.0408 0.2066 0.0000
La 0.7982 0.8750 0.5000
Zn 0.4722 0.2557 0.5000
Zn 0.5342 0.6290 0.0000
Zn 0.5342 0.1210 0.0000

# 2
Entry from OQMD via LeMat-Bulk: a geometry-optimized LaZn structure (PBE).

- DFT total energy: -3.2546 eV/atom

abc: 5.7998 9.4843 4.7485
angles: 90.00 90.00 72.20
Sites, in units of the cell vectors:
La 0.1134 0.1465 0.5000
La 0.5700 0.8000 0.0000
Zn 0.1419 0.8000 0.5000
Zn 0.9985 0.9681 0.0000
Zn 0.1666 0.6319 0.0000
La 0.4476 0.1752 0.0000
Zn 0.7088 0.9955 0.5000
Zn 0.9041 0.6045 0.5000
La 0.8226 0.4248 0.0000
La 0.4597 0.4534 0.5000

# 3
Entry from OQMD via LeMat-Bulk: a geometry-optimized La2Zn structure (PBE).

- DFT total energy: -3.6830 eV/atom

abc: 6.2761 6.2761 6.2761
angles: 129.45 119.19 82.94
Sites, in units of the cell vectors:
La 0.1641 0.1656 0.9984
La 0.3328 0.8344 0.4984
La 0.8360 0.8344 0.0016
Zn 0.7500 0.5000 0.2500
La 0.6672 0.1656 0.5016
Zn 0.2500 0.5000 0.7500

# 4
Entry from OQMD via LeMat-Bulk: a geometry-optimized LaZn structure (PBE).

- DFT total energy: -3.0514 eV/atom

abc: 5.1440 5.1440 5.1440
angles: 60.00 60.00 60.00
Last column: magnetic moment on the atom in μB.
Sites, in units of the cell vectors:
La 0.7500 0.7500 0.7500  0.17
Zn 0.5000 0.5000 0.5000  0.01
Zn 0.2500 0.2500 0.2500  0.01
La 0.0000 0.0000 0.0000  0.17

# 5
Entry from OQMD via LeMat-Bulk: a geometry-optimized LaZn structure (PBE).

- DFT total energy: -3.2705 eV/atom

abc: 5.5377 11.7490 4.7441
angles: 90.00 90.00 90.01
Sites, in units of the cell vectors:
Zn 0.0307 0.3431 0.0000
Zn 0.5307 0.8232 0.0000
La 0.4035 0.9811 0.5000
La 0.9033 0.1855 0.5000
Zn 0.8802 0.6690 0.0000
La 0.8340 0.4866 0.5000
Zn 0.3386 0.3697 0.5000
La 0.3340 0.6800 0.5000
La 0.0132 0.9489 0.0000
Zn 0.8387 0.7970 0.5000
Zn 0.3798 0.4979 0.0000
La 0.5133 0.2178 0.0000

# 6
Entry from OQMD via LeMat-Bulk: a geometry-optimized LaZn2 structure (PBE).

- DFT total energy: -2.8585 eV/atom

abc: 5.8488 5.8488 5.8488
angles: 133.02 100.43 97.85
Sites, in units of the cell vectors:
La 0.4665 0.4665 0.0000
Zn 0.8618 0.1653 0.6965
Zn 0.4688 0.1653 0.3035
Zn 0.0308 0.8344 0.1964
Zn 0.6380 0.8344 0.8036
La 0.0340 0.5340 0.5000

# 7
Entry from OQMD via LeMat-Bulk: a geometry-optimized LaZn2 structure (PBE).

- DFT total energy: -2.7053 eV/atom

abc: 13.9980 3.7179 5.2666
angles: 90.00 90.00 90.00
Sites, in units of the cell vectors:
La 0.6187 0.5000 0.5000
Zn 0.5021 0.5000 0.0000
Zn 0.6402 0.0000 0.0000
La 0.3258 0.0000 0.0000
La 0.1187 0.0000 0.5000
Zn 0.8042 0.0000 0.5000
La 0.8257 0.5000 0.0000
>>>
In recent years, attitudes towards cannabis have undergone a significant shift, with a growing number of countries legalizing its use for medicinal or recreational purposes. In the United States, several states have legalized cannabis for recreational use, while many others have legalized it for medicinal purposes. The legalization of cannabis has sparked a growing industry, with businesses developing a wide range of products, including edibles, tinctures, and other forms of the drug. The future of cannabis and its use remains uncertain, but its history and impact on society will continue to evolve.
The history and evolution of cannabis regulation
Cannabis, popularly known as marijuana, has been regulated for a very long time. Cannabis has been used for both therapeutic and recreational purposes for thousands of years. However, several nations, including the United States, started to enact legislation criminalizing its use, sale, and possession around the beginning of the 20th century. Although the motivations behind this change in policy varied, they frequently reflected moral and racial prejudices towards the drug-using groups as well as worries about its consequences on public health and safety.
A growing push to legalize marijuana gained traction in the second half of the 20th century, in part due to the expanding understanding of its therapeutic advantages. Numerous states in the United States have decriminalized the drug and made it legal for medical use in others. The first states to legalize cannabis for recreational use were Colorado and Washington in 2012, which sparked a global legalization movement.
Cannabis legalization has gained popularity in recent years as more and more nations choose to regulate and tax the drug rather than prohibit it. A vibrant legal cannabis economy has resulted from this, with businesses making and offering a variety of goods derived from cannabis, including oils, edibles, and concentrates. However, many nations continue to impose harsh regulations against marijuana usage, and several nations, including the United States, still forbid its use on a federal level.
Cannabis regulation is still a contentious, polarizing issue with strong arguments on both sides. Supporters of legalization contend that it can increase tax revenue, lower crime, and give individuals who require the drug for medical purposes access to a safe and controlled source of it. Critics, on the other hand, are concerned about the drug’s negative health consequences as well as the potential repercussions of legalization on communities and young people. Despite these ongoing arguments, the trend toward legalizing and regulating cannabis shows no indications of slowing down. The direction of cannabis regulation will likely be determined by how much we continue to learn about the drug and its effects.
The history of medicinal marijuana: Explore the historical use of marijuana for medical purposes, from ancient civilizations to modern times.
The ancient civilizations in what is now China and India, were among the first to employ marijuana as medicine to treat a variety of illnesses and to ease pain. Cannabis was first brought to Western medicine in the late 1800s and was quickly adopted for a variety of therapeutic uses, including hunger stimulation, pain relief, nausea relief, and control of muscular spasms. However, the early 20th century saw a drop in marijuana’s use for medical purposes due to the development of stronger medications and shifting social perceptions of marijuana.
The medicinal usage of marijuana experienced a renaissance in the 1960s and 1970s, and numerous studies were carried out to investigate its therapeutic potential. The discovery of the endocannabinoid system, a group of receptors in the body that react to the active components in marijuana, sparked a resurgence in interest in the drug’s potential medical applications. During this time period, states such as California were among the first to legalize marijuana for medical purposes, and several other states have since followed suit.
The usage of medical marijuana is a contentious and universally recognized topic nowadays. Many states have approved the use of marijuana for a number of medical illnesses, including chronic pain, anxiety, and epilepsy, despite the fact that federal law still classifies it as a Schedule I narcotic with no medicinal benefit. Its usage as medicine has also been made more acceptable by the FDA’s approval of marijuana-based medications like Epidiolex. To fully understand the medicinal potential and safety of marijuana as well as to identify its place in contemporary medicine, more research is still required.